What is needed: work out how many lines further down have the word "through" in them; a number is enough.

1.
ORCA calculation (the ωB97M-V functional and the def2-TZVPD basis) on 2 unconnected molecules or ions with the total composition C8H13FN4O2 at a distorted geometry.

Structure (XYZ):
```
28
Properties=species:S:1:pos:R:3
C 3.407 -1.113 1.907
C 3.058 -0.989 0.529
C 1.883 -0.127 0.544
C 0.394 -1.514 -2.004
C -0.209 -0.471 -1.065
C 0.774 0.397 -0.289
C -0.067 1.014 0.836
C 0.708 1.377 2.035
N 2.599 -0.473 2.649
N 1.744 0.219 1.829
N 3.456 1.881 -0.224
N 3.758 -1.542 -0.610
O 4.226 -2.646 -0.356
O 3.841 -0.942 -1.643
F 4.079 2.669 -1.217
H 4.097 -1.879 2.309
H 1.242 -0.917 -2.345
H 0.661 -2.403 -1.412
H -0.303 -1.629 -2.743
H -0.890 -0.846 -0.301
H -0.778 0.311 -1.653
H 1.257 1.216 -0.889
H 4.349 1.342 0.185
H -0.854 1.827 0.531
H -0.625 0.241 1.323
H 1.233 2.334 1.927
H 0.162 1.375 2.985
H 3.050 1.175 -0.773
```

Multiplicity: 1
Electronic energy (hartree): -781.74902
Energy above the lowest of the compared OMol25 structures with the same formula, charge and spin (kcal per mole): 9.6
SMILES: CC[C@H]1CCn2ncc([N+](=O)[O-])c21.NF

Results of the Löwdin charge analysis, in e, for atoms 1 through 8: C -0.115; C -0.095; C -0.159; C -0.061; C -0.215; C -0.257; C -0.184; C -0.051

2.
ORCA calculation (the ωB97M-V functional and the def2-TZVPD basis) on 2 unconnected molecules or ions with the total composition C4H9NO at a distorted geometry.

Structure (XYZ):
```
15
Properties=species:S:1:pos:R:3
N 1.294 -1.229 1.230
C 0.766 -1.060 -0.036
C -0.297 -0.283 -0.320
C -0.623 0.013 -1.706
C -1.635 0.728 -2.203
H 1.499 -2.163 1.539
H 0.828 -0.717 1.970
H 1.322 -1.539 -0.834
H -0.877 0.108 0.504
H -0.076 -0.604 -2.419
H -1.806 0.621 -3.255
H -2.213 1.387 -1.589
H 0.964 2.013 2.985
H 0.412 1.397 1.588
O 0.443 1.329 2.545
```

Multiplicity: 1
Electronic energy (hartree): -287.76024
Energy above the lowest of the compared OMol25 structures with the same formula, charge and spin (kcal per mole): 45.3
SMILES: C=C/C=C/N.O

Results of the Löwdin charge analysis, in e, for atoms 1 through 8: N 0.048; C -0.209; C -0.143; C -0.220; C -0.012; H 0.082; H 0.055; H 0.113

----------

Entry 1:
Entry from the OMol25 dataset: C42H48GeN3OPtTe as an isolated structure (ωB97M-V/def2-TZVPD).

**Frontier orbital gap (spin up / spin down)**: 0.1198 / 0.1784 Eh
**LUMO energy (spin up / spin down)**: 0.1395 / 0.1395 hartree
**Spin multiplicity**: 2
**Charge**: -2

Geometry as XYZ:
```
97
Properties=species:S:1:pos:R:3:forces:R:3:mulliken_charge:R:1
Pt 0.802 -1.977 1.503 -0.6257 -0.2386 0.0242 0.6683
C -2.497 -3.331 0.383 0.0527 0.0366 0.0778 -0.6631
Ge -1.082 -3.350 -0.989 -0.1493 0.0086 0.1381 0.9897
C -1.243 -5.148 -1.798 -0.0082 -0.0692 -0.1113 -1.4458
C -1.597 -2.023 -2.339 -0.0539 0.0418 -0.0256 -0.8094
C 0.710 -2.974 -0.316 0.3861 0.0659 -0.2152 -0.6595
H -3.400 -2.847 0.006 -0.0293 -0.0166 -0.0220 0.3819
H -2.115 -2.768 1.235 -0.0413 -0.0107 -0.0027 -0.4782
H -2.741 -4.344 0.710 0.0091 0.0039 0.0137 0.4956
H -2.286 -5.350 -2.055 -0.0020 -0.0296 -0.0191 0.3622
H -0.916 -5.899 -1.075 0.0001 -0.0061 0.0023 0.3763
H -0.636 -5.255 -2.700 0.0175 0.0183 0.0067 0.3610
H -2.617 -2.213 -2.685 -0.0016 0.0102 -0.0282 0.3278
H -0.922 -2.025 -3.196 0.0130 -0.0148 0.0101 0.3307
H -1.569 -1.033 -1.881 0.0126 0.0537 -0.0089 -0.1454
H 1.279 -3.911 -0.362 0.0794 0.0568 0.0227 0.4002
C -1.869 8.348 0.585 -0.0049 0.0300 -0.0008 -1.5478
C -1.420 6.912 0.643 -0.0072 0.0177 -0.0004 0.8191
C -0.288 6.481 -0.027 0.0029 -0.0155 0.0054 -1.2180
C 0.132 5.150 0.018 -0.0054 0.0515 0.0337 1.2683
C 1.395 4.799 -0.730 0.0372 -0.0252 -0.0293 -1.2438
C -0.599 4.197 0.748 0.0862 -0.0146 -0.0309 -0.8024
Te 0.171 2.125 0.726 -0.0039 0.0871 0.1312 0.6778
N 0.878 -0.351 0.109 0.4400 -0.1753 0.0152 -0.5821
C 1.327 -0.800 -0.986 0.0732 0.1028 -0.2411 -0.1197
O 1.369 -2.112 -1.345 -0.1088 -0.1202 0.2409 -0.3478
C 1.971 -0.002 -2.102 -0.2641 -0.0757 0.3175 0.4903
C 2.083 -0.533 -3.387 -0.0501 0.0796 -0.0470 -0.2246
C 2.722 0.177 -4.396 -0.0435 -0.0077 0.0677 -0.7833

2